If you’re out for Sunday Bike Days this summer, you’ll have your pick of lemonade stands and other kiosks.
The National Capital Commission is opening up prime, federally-owned land along the Sunday Bike Days routes to young entrepreneurs. Children aged 5 to 17 will be able to operate a small kiosk for three Sundays this summer, provided they have their parents fill out the proper permits, which are available online.
This comes just one year after two young girls, aged 5 and 7, had their lemonade stand on Colonel By Drive briefly shut down by the NCC. The Commission quickly reversed course when the story made national headlines and granted the girls a permit to continue operating.
Their father, Kurtis Andrews, spoke to CFRA’s Ottawa Now with Evan Solomon Monday. He said his girls, Adela and Eliza, now 6 and 8, will be back at it again this year.
“They have the brand recognition,” Andrews says. “Now that they’re going to open it up to just anybody, there’s going to be some competition, so we have to distinguish ourselves. They will always be the originals; we just gotta make sure we market it right.”
Andrews says he looked over the permit briefly and says, while it’s good that the NCC is encouraging entrepreneurship, he does have some criticisms.
“There are levels of bureaucracy here. They have to go through an approval process,” he says. “One thing that kind of gets me a little bit is that there’s an indemnification clause in there. [The federal government] is probably the largest organization in Canada, I think they could probably stick their neck out on some of the risk just a little bit.”
That clause reads as follows:
You must agree to indemnify and save harmless the NCC, and anyone for whom the NCC is responsible, from all financial consequences, including reasonable legal fees, arising from any demands, claims or actions made or brought against the NCC, directly or indirectly, and resulting from the Activity. This clause shall survive the termination of this Permit.
The NCC also says it is not responsible for lost, stolen, or damaged equipment, and is not responsible for consequences or complaints that arise from kiosk activity.
That’s not the only rule. In addition to making sure the NCC permit is visible on the kiosk at all times, the young entrepreneurs must also ensure anything they’re selling, such as lemonade, is safe to consume. Any written signs must have the message written in both English and French. They have to set up before the roads close for Bike Days and pack up and leave before car traffic resumes. At least 7% of all of the revenue generated by the kiosk must be donated to a cause or charity of the operator’s choice, and an account of the young entrepreneur’s revenues and donations must be given to the NCC.
Young entrepreneurs are also encouraged, but are not required, to take a training workshop offered by JA Ottawa before they start operating their small business.
# Unrelated to this article: quantum chemistry results
'''
DFT (wB97M-V/def2-TZVPD) results for a 10-piece molecular cluster, C30H65O28S8 overall.

Values from the calculation:
LUMO level in eV: 1.75
HOMO energy in eV: -3.60
Net charge: -1
Total energy in eV: -176169.8777

Last column: Mulliken charge in e.
Positions of all 131 atoms, in Å:
S 5.3906 3.6488 -4.7632  1.086
S -0.7317 1.2335 5.0210  1.166
S 3.2192 2.8984 2.8183  1.283
S 0.6235 2.6911 -6.7419  1.006
S -5.8791 1.3144 1.4930  1.167
S -1.8889 -3.3370 2.8072  1.056
S -3.1117 -0.9244 -2.4590  0.647
S 0.5410 -5.0633 -1.0150  1.300
O 3.8915 3.8818 3.6446  -0.720
O 5.5852 2.3429 -5.2880  -0.500
O -1.8057 -0.5205 -2.9070  -0.193
O -0.0946 0.0061 4.6247  -0.516
O 6.6388 4.1554 -3.7953  -0.366
O 2.6905 1.7062 3.4211  -0.512
O -2.0319 1.1949 5.6505  -0.617
O -2.6964 -3.4136 3.9919  -0.710
O -5.3253 1.3919 3.0313  -0.375
O 0.9499 3.6621 -5.5166  -0.371
O 0.4357 -6.0594 0.2713  -0.275
O -3.1333 -2.4861 -2.0916  -0.126
O -7.1393 2.0418 1.5078  -0.670
O 0.2832 2.0531 5.9889  -0.301
O 1.5858 -0.2507 0.8589  -0.928
O -0.5659 -2.7772 2.9354  -0.558
O 0.1566 3.4783 -7.8417  -0.602
O 4.3947 3.5319 -3.4758  -0.228
O -4.1200 -1.0784 -3.7148  -0.303
O -0.5257 1.9732 -5.7766  -0.499
O 1.8134 -5.3241 -1.6635  -0.662
O -0.6946 -5.2636 -1.7237  -0.627
O -1.6500 -4.7534 2.0614  -0.236
O -3.6532 -0.2066 -1.3490  -0.301
O -5.8665 -0.0461 1.0184  -0.575
O 1.9124 3.6055 2.1433  -0.329
O 1.6824 1.7410 -6.9571  -0.440
O 5.1039 4.7531 -5.6161  -0.549
C 2.2186 -1.3131 -6.0064  -0.579
C 1.7511 -7.4880 1.5732  -1.450
C 2.3560 -1.4805 -3.2490  -0.193
C -2.7351 -2.4324 1.5002  0.042
C 0.3799 3.7155 7.7413  -1.474
C -0.1307 3.3556 6.3480  -0.010
C 1.1773 -1.8755 -5.3047  -0.652
C 4.1630 2.4015 1.3374  -0.567
C 0.1861 1.6495 -4.5403  0.769
C -3.2234 -3.2791 -3.2501  -0.249
C 0.8304 3.0448 -4.2751  0.209
C -4.6165 2.2972 0.6580  -0.489
C 1.2844 1.1761 -1.0802  -0.419
C -2.7343 -5.7063 2.1558  -0.385
C 1.2591 -2.0016 -3.9138  0.463
C -4.7475 0.2276 3.6143  0.551
C 3.3346 -0.8205 -5.3211  -0.319
C -0.8997 2.3425 3.5886  0.055
C 0.5622 -3.4589 -0.2271  0.753
C 3.4269 -0.9417 -3.9576  -0.711
C 1.3194 5.8950 2.2348  -1.250
C -4.9246 0.3010 5.1381  -1.454
C -2.9385 -6.3483 0.7870  -0.791
C 0.7858 0.6804 0.2737  2.572
C 6.4238 3.9349 -2.4105  -0.292
C -4.0480 -2.4181 -4.2534  -0.431
C -0.6787 0.2947 0.0691  -0.258
C 5.1348 3.1121 -2.3218  0.142
C 2.0272 4.8031 1.4072  -0.267
C 1.5435 -6.0199 1.1844  -0.117
H 4.0097 1.3229 1.2341  0.415
H 1.4427 3.5177 7.8958  0.344
H 3.0580 5.1308 1.2388  0.386
H 6.4188 4.9608 -2.0404  0.327
H 2.2112 -1.2498 -7.0861  0.363
H 0.1066 2.5202 3.1951  -0.300
H -1.3171 1.1467 -0.1932  0.423
H -3.6750 0.1818 3.4069  -0.204
H 0.2181 3.6607 -3.6131  0.258
H 4.1073 -0.3841 -5.9428  0.364
H 1.8490 3.0647 -3.8761  -0.092
H 3.6601 2.7793 0.4499  -0.358
H -2.0074 -2.1679 0.7394  -0.453
H 4.5144 3.3195 -1.4577  -0.061
H 4.2840 -0.5814 -3.4022  0.416
H 0.3975 -2.3486 -3.3577  0.031
H -2.2268 -3.3726 -3.6880  0.139
H -0.0855 -3.5958 0.6384  -0.710
'''
# The quantum chemistry results stop here
Kiosks may go up in one of seven locations: Vimy Place or the Champlain Bridge parking lot along the Sir John A. Macdonald Parkway; At C.H. Airport-Marina Road or parking lot P8 along the Sir Georges-Étienne Cartier Parkway; the Bronson Avenue parking lot along Colonel By drive or; the corners of Colonel By and Daly Street or Colonel By and Clegg Street.
The NCC has laid out three sets of Sundays a young businessperson can choose to operate on: June 25 and July 2 & 9; July 16, 23 & 30 (a typo on the online form says July 20 instead of 30); or August 6, 13 & 20. Parents may also choose three non-consecutive Sundays on which to operate.
== Inserted here: quantum chemistry results ==
┌──
Record 1
{
  "formula": "C20H34IrP",
  "method": "the ωB97M-V functional and the def2-TZVPD basis",
  "species": ["C", "C", "C", "C", "H", "H", "H", "H", "H", "H", "H", "H", "H", "C", "C", "C", "H", "C", "C", "H", "H", "H", "H", "C", "C", "C", "H", "C", "C", "H", "H", "H", "H", "Ir", "C", "C", "P", "C", "C", "C", "C", "H", "H", "H", "H", "H", "H", "H", "H", "H", "H", "H", "H", "H", "H", "H"],
  "positions_angstrom": [[-0.3321, 0.5748, -3.9450], [0.1969, 1.9572, -4.0694], [0.4707, -0.4972, -4.5824], [-1.8048, 0.4969, -4.1111], [0.3843, -0.4254, -5.6827], [0.1358, -1.4974, -4.2890], [1.5325, -0.4030, -4.3376], [0.0338, 2.3433, -5.0903], [1.2704, 2.0072, -3.8749], [-0.3271, 2.6307, -3.3823], [-2.0897, 0.7699, -5.1425], [-2.2963, 1.2092, -3.4404], [-2.1960, -0.5049, -3.9230], [1.7275, -0.0216, 0.6045], [2.2511, -0.7453, -0.5179], [2.0702, 0.0639, -1.6883], [2.6946, -1.7360, -0.4869], [1.4551, 1.2994, -1.2793], [1.2528, 1.2497, 0.1281], [0.8102, 2.0404, 0.7303], [1.7029, -0.3563, 1.6374], [2.3567, -0.2150, -2.6956], [1.1690, 2.1314, -1.9115], [-1.8710, -0.8572, 0.1041], [-0.9238, -1.8847, 0.4397], [-0.5042, -2.5141, -0.7822], [-0.6003, -2.1405, 1.4453], [-1.1655, -1.8502, -1.8688], [-2.0072, -0.8194, -1.3120], [-2.6265, -0.1182, -1.8589], [-2.3913, -0.2176, 0.8113], [0.1981, -3.3394, -0.8676], [-1.0498, -2.0945, -2.9187], [0.1311, -0.4402, -0.8084], [-1.7242, -0.4491, 4.6783], [-2.2135, 0.7185, 3.8237], [-0.9453, 1.2275, 2.5847], [-1.9462, 2.3715, 1.5164], [-2.5028, 3.6204, 2.1887], [0.1522, 2.4000, 3.5165], [-0.2872, 2.8774, 4.8939], [-1.5488, -1.3423, 4.0645], [-2.4877, -0.7042, 5.4222], [-0.7953, -0.2166, 5.2119], [-3.1053, 0.4208, 3.2485], [-2.4781, 1.5890, 4.4380], [-1.3037, 2.6332, 0.6606], [-2.7670, 1.7583, 1.1170], [-1.7158, 4.3249, 2.4830], [-3.1535, 4.1360, 1.4742], [-3.1099, 3.3813, 3.0704], [1.0997, 1.8411, 3.6035], [0.3489, 3.2558, 2.8506], [-0.3811, 2.0530, 5.6115], [0.4780, 3.5618, 5.2829], [-1.2340, 3.4329, 4.8715]],
└──
Andrews says, there are a lot of rules to keep in mind and follow, but that just makes the experience all the more educational.
“I operate my own business, I deal with bureaucracy,” he says. “I figure if you really want to give them a proper lesson on operating a business in this country, you may as well give them a lesson on bureaucracy, too.”
You can find more information by clicking here.